Work order:
Please find "0.000 0.755" and "0.275" in the calculation results below, and retype these two lines and those between.

Material:
Simulated powder X-ray diffraction pattern
Compound: Mg6SnCO8
Radiation: CuKα
Structure: a PBE-relaxed structure

Structure:
a = 4.378 Å, b = 4.378 Å, c = 8.713 Å
α = 90.00°, β = 90.00°, γ = 90.00°
Sites, in units of the cell vectors:
Mg1 0.000 0.000 0.000
Mg2 0.000 0.500 0.245
Mg3 0.000 0.500 0.755
Mg4 0.500 0.000 0.245
Mg5 0.500 0.000 0.755
Mg6 0.500 0.500 0.000
Sn1 0.000 0.000 0.500
C1 0.500 0.500 0.500
O1 0.000 0.000 0.238
O2 0.000 0.000 0.762
O3 0.000 0.500 0.000
O4 0.000 0.500 0.500
O5 0.500 0.000 0.000
O6 0.500 0.000 0.500
O7 0.500 0.500 0.239
O8 0.500 0.500 0.761

Most intense lines, 2θ = 10–90°, most intense first:
2θ 41.2, I = 100.0, (2 0 0)
2θ 22.7, I = 65.0, (1 0 1)
2θ 59.9, I = 58.0, (2 0 4)
2θ 20.3, I = 54.3, (1 0 0)
2θ 41.5, I = 48.4, (0 0 4)
2θ 28.9, I = 46.9, (1 0 2)
2θ 35.6, I = 42.3, (1 1 2)
2θ 10.2, I = 40.8, (0 0 1)



Simulated powder X-ray diffraction pattern
Compound: SrMg6CO8
Radiation: CuKα
Structure: a PBE-relaxed structure

Structure:
a = 4.465 Å, b = 4.465 Å, c = 8.653 Å
α = 90.00°, β = 90.00°, γ = 90.00°
Sites, in units of the cell vectors:
Sr1 0.000 0.000 0.000
Mg1 0.000 0.500 0.264
Mg2 0.000 0.500 0.736
Mg3 0.500 0.000 0.264
Mg4 0.500 0.000 0.736
Mg5 0.500 0.500 0.000
Mg6 0.500 0.500 0.500
C1 0.000 0.000 0.500
O1 0.000 0.000 0.275
O2 0.000 0.000 0.725
O3 0.000 0.500 0.000
O4 0.000 0.500 0.500
O5 0.500 0.000 0.000
O6 0.500 0.000 0.500
O7 0.500 0.500 0.253
O8 0.500 0.500 0.747

Most intense lines, 2θ = 10–90°, most intense first:
2θ 40.4, I = 100.0, (2 0 0)
2θ 59.5, I = 53.3, (2 0 4)
2θ 41.8, I = 47.1, (0 0 4)
2θ 10.2, I = 32.7, (0 0 1)
2θ 22.4, I = 32.7, (1 0 1)
2θ 35.2, I = 29.4, (1 1 2)
2θ 58.5, I = 29.2, (2 2 0)
2θ 74.4, I = 24.2, (2 2 4)



Simulated powder X-ray diffraction pattern
Compound: SrMg6CO8
Radiation: CuKα
Structure: a PBE-relaxed structure

Structure:
a = 4.440 Å, b = 4.440 Å, c = 8.741 Å
α = 90.00°, β = 90.00°, γ = 90.00°
Sites, in units of the cell vectors:
Sr1 0.000 0.000 0.000
Mg1 0.000 0.000 0.500
Mg2 0.000 0.500 0.258
Mg3 0.000 0.500 0.742
Mg4 0.500 0.000 0.258
Mg5 0.500 0.000 0.742
Mg6 0.500 0.500 0.500
C1 0.500 0.500 0.000
O1 0.000 0.000 0.272
O2 0.000 0.000 0.728
O3 0.000 0.500 0.000
O4 0.000 0.500 0.500
O5 0.500 0.000 0.000
O6 0.500 0.000 0.500
O7 0.500 0.500 0.253
O8 0.500 0.500 0.747

Most intense lines, 2θ = 10–90°, most intense first:
2θ 40.6, I = 100.0, (2 0 0)
2θ 59.3, I = 54.6, (2 0 4)
2θ 41.3, I = 45.8, (0 0 4)
2θ 22.5, I = 33.6, (1 0 1)
2θ 35.2, I = 30.4, (1 1 2)
2θ 58.8, I = 29.1, (2 2 0)
2θ 74.4, I = 25.4, (2 2 4)
2θ 20.0, I = 24.8, (1 0 0)



Simulated powder X-ray diffraction pattern
Compound: YMg6CO8
Radiation: CuKα
Structure: a PBE-relaxed structure

Structure:
a = 4.366 Å, b = 4.366 Å, c = 8.904 Å
α = 90.00°, β = 90.00°, γ = 90.00°
Sites, in units of the cell vectors:
Y1 0.000 0.000 0.000
Mg1 0.000 0.000 0.500
Mg2 0.000 0.500 0.262
Mg3 0.000 0.500 0.738
Mg4 0.500 0.000 0.262
Mg5 0.500 0.000 0.738
Mg6 0.500 0.500 0.500
C1 0.500 0.500 0.000
O1 0.000 0.000 0.260
O2 0.000 0.000 0.740
O3 0.000 0.500 0.000
O4 0.000 0.500 0.500
O5 0.500 0.000 0.000
O6 0.500 0.000 0.500
O7 0.500 0.500 0.272
O8 0.500 0.500 0.728

Most intense lines, 2θ = 10–90°, most intense first:
2θ 41.4, I = 100.0, (2 0 0)
2θ 59.3, I = 56.7, (2 0 4)
2θ 40.5, I = 50.5, (0 0 4)
2θ 22.7, I = 45.4, (1 0 1)
2θ 35.4, I = 32.3, (1 1 2)
2θ 59.9, I = 30.4, (2 2 0)
2θ 20.3, I = 27.6, (1 0 0)
2θ 74.9, I = 25.6, (2 2 4)



Simulated powder X-ray diffraction pattern
Compound: YMg6CO8
Radiation: CuKα
Structure: a PBE-relaxed structure

Structure:
a = 4.367 Å, b = 4.367 Å, c = 9.037 Å
α = 90.00°, β = 90.00°, γ = 90.00°
Sites, in units of the cell vectors:
Y1 0.000 0.000 0.000
Mg1 0.000 0.500 0.276
Mg2 0.000 0.500 0.724
Mg3 0.500 0.000 0.276
Mg4 0.500 0.000 0.724
Mg5 0.500 0.500 0.000
Mg6 0.500 0.500 0.500
C1 0.000 0.000 0.500
O1 0.000 0.000 0.244
O2 0.000 0.000 0.756
O3 0.000 0.500 0.000
O4 0.000 0.500 0.500
O5 0.500 0.000 0.000
O6 0.500 0.000 0.500
O7 0.500 0.500 0.251
O8 0.500 0.500 0.749

Solution:
Mg5 0.500 0.000 0.755
Mg6 0.500 0.500 0.000
Sn1 0.000 0.000 0.500
C1 0.500 0.500 0.500
O1 0.000 0.000 0.238
O2 0.000 0.000 0.762
O3 0.000 0.500 0.000
O4 0.000 0.500 0.500
O5 0.500 0.000 0.000
O6 0.500 0.000 0.500
O7 0.500 0.500 0.239
O8 0.500 0.500 0.761

Most intense lines, 2θ = 10–90°, most intense first:
2θ 41.2, I = 100.0, (2 0 0)
2θ 22.7, I = 65.0, (1 0 1)
2θ 59.9, I = 58.0, (2 0 4)
2θ 20.3, I = 54.3, (1 0 0)
2θ 41.5, I = 48.4, (0 0 4)
2θ 28.9, I = 46.9, (1 0 2)
2θ 35.6, I = 42.3, (1 1 2)
2θ 10.2, I = 40.8, (0 0 1)



Simulated powder X-ray diffraction pattern
Compound: SrMg6CO8
Radiation: CuKα
Structure: a PBE-relaxed structure

Structure:
a = 4.465 Å, b = 4.465 Å, c = 8.653 Å
α = 90.00°, β = 90.00°, γ = 90.00°
Sites, in units of the cell vectors:
Sr1 0.000 0.000 0.000
Mg1 0.000 0.500 0.264
Mg2 0.000 0.500 0.736
Mg3 0.500 0.000 0.264
Mg4 0.500 0.000 0.736
Mg5 0.500 0.500 0.000
Mg6 0.500 0.500 0.500
C1 0.000 0.000 0.500
O1 0.000 0.000 0.275